_Input_
# 1
DFT (GGA-PBE) results for an optimized crystal structure of Na2PmSO8.

It has space group P-3m1 (No. 164), with a = 5.1599 Å, b = 5.1599 Å, c = 6.2776 Å, α = 90.00°, β = 90.00° and γ = 120.00°. The asymmetric unit holds Na at (0.3333, 0.6667, 0.3880), Pm at (0.0000, 0.0000, 0.0000), S at (0.0000, 0.0000, 0.5000), O at (0.1475, 0.2951, 0.6559) and O at (0.3333, 0.6667, 0.0208).

Its total magnetization is 5.04 μB per cell. Its theoretical density is 4.027 g cm⁻³. The total energy is -5.255 eV per atom.

# 2
DFT (GGA-PBE) results for an optimized crystal structure of NaPmS2O8.

It has space group P-3 (No. 147), with a = 5.4782 Å, b = 5.4782 Å, c = 7.1927 Å, α = 90.00°, β = 90.00° and γ = 120.00°. The asymmetric unit holds Na at (0.0000, 0.0000, 0.0000), Pm at (0.0000, 0.0000, 0.5000), S at (0.3333, 0.6667, 0.7854), O at (0.1846, 0.3716, 0.7093) and O at (0.3333, 0.6667, 0.9867).

Its total magnetization is 0.00 μB per cell. Its theoretical density is 3.199 g cm⁻³. The total energy is -6.498 eV per atom.

# 3
DFT (GGA-PBE) results for an optimized crystal structure of Na2PmSO6.

It has space group P-3m1 (No. 164), with a = 5.7764 Å, b = 5.7764 Å, c = 5.8025 Å, α = 90.00°, β = 90.00° and γ = 120.00°. The asymmetric unit holds Na at (0.3333, 0.6667, 0.4653), Pm at (0.0000, 0.0000, 0.0000), S at (0.0000, 0.0000, 0.5000) and O at (0.1372, 0.2744, 0.6700).

Its total magnetization is 1.04 μB per cell. Its theoretical density is 3.160 g cm⁻³. The total energy is -5.670 eV per atom.

# 4
DFT (GGA-PBE) results for an optimized crystal structure of NaPm2SbO5.

It has space group P4/mbm (No. 127), with a = 6.780 Å, b = 6.780 Å, c = 6.279 Å, α = 90.00°, β = 90.00° and γ = 90.00°. The asymmetric unit holds Na at (0.000, 0.000, 0.000), Pm at (0.177, 0.323, 0.500), Sb at (0.000, 0.500, 0.000), O at (0.000, 0.000, 0.500) and O at (0.143, 0.643, 0.261).

Its total magnetization is 0.00 μB per cell. Its theoretical density is 5.923 g cm⁻³. The total energy is -6.652 eV per atom.

# 5
DFT (GGA-PBE) results for an optimized crystal structure of Na2PmSbO4.

It has space group P2/m (No. 10), with a = 5.980 Å, b = 3.512 Å, c = 6.068 Å, α = 90.00°, β = 109.49° and γ = 90.00°. The asymmetric unit holds Na at (0.000, 0.000, 0.000), Na at (0.000, 0.500, 0.500), Pm at (0.500, 0.000, 0.500), Sb at (0.500, 0.500, 0.000), O at (0.277, 0.000, 0.759) and O at (0.284, 0.500, 0.259).

Its total magnetization is 0.00 μB per cell. Its theoretical density is 5.208 g cm⁻³. The total energy is -5.881 eV per atom.

# 6
DFT (GGA-PBE) results for an optimized crystal structure of Na4Pm3SbO8.

It has space group R-3m (No. 166, hexagonal axes), with a = 7.0614 Å, b = 7.0614 Å, c = 16.9019 Å, α = 90.00°, β = 90.00° and γ = 120.00°. The asymmetric unit holds Na at (0.0000, 0.0000, 0.0000), Na at (0.0000, 0.5000, 0.0000), Pm at (0.0000, 0.5000, 0.5000), Sb at (0.0000, 0.0000, 0.5000), O at (0.0000, 0.0000, 0.2381) and O at (0.0016, 0.5008, 0.2394).

Its total magnetization is 0.00 μB per cell. Its theoretical density is 5.301 g cm⁻³. The total energy is -6.271 eV per atom.

# 7
DFT (GGA-PBE) results for an optimized crystal structure of NaPm2SbO6.

It has space group R3 (No. 146, hexagonal axes), with a = 5.8042 Å, b = 5.8042 Å, c = 14.8552 Å, α = 90.00°, β = 90.00° and γ = 120.00°. The asymmetric unit holds Na at (0.0000, 0.0000, 0.0000), Pm at (0.0000, 0.0000, 0.2712), Pm at (0.0000, 0.0000, 0.7742), Sb at (0.0000, 0.0000, 0.4866), O at (0.0140, 0.3927, 0.2217) and O at (0.0712, 0.6812, 0.0655).

Its total magnetization is 0.00 μB per cell. Its theoretical density is 6.100 g cm⁻³. The total energy is -6.982 eV per atom.

# 8
DFT (GGA-PBE) results for an optimized crystal structure of Na2Pm2SbO6.

_To do_
Quote only the lines earlier on with the word "at" in them.

_Written answer_
It has space group P-3m1 (No. 164), with a = 5.1599 Å, b = 5.1599 Å, c = 6.2776 Å, α = 90.00°, β = 90.00° and γ = 120.00°. The asymmetric unit holds Na at (0.3333, 0.6667, 0.3880), Pm at (0.0000, 0.0000, 0.0000), S at (0.0000, 0.0000, 0.5000), O at (0.1475, 0.2951, 0.6559) and O at (0.3333, 0.6667, 0.0208).
It has space group P-3 (No. 147), with a = 5.4782 Å, b = 5.4782 Å, c = 7.1927 Å, α = 90.00°, β = 90.00° and γ = 120.00°. The asymmetric unit holds Na at (0.0000, 0.0000, 0.0000), Pm at (0.0000, 0.0000, 0.5000), S at (0.3333, 0.6667, 0.7854), O at (0.1846, 0.3716, 0.7093) and O at (0.3333, 0.6667, 0.9867).
It has space group P-3m1 (No. 164), with a = 5.7764 Å, b = 5.7764 Å, c = 5.8025 Å, α = 90.00°, β = 90.00° and γ = 120.00°. The asymmetric unit holds Na at (0.3333, 0.6667, 0.4653), Pm at (0.0000, 0.0000, 0.0000), S at (0.0000, 0.0000, 0.5000) and O at (0.1372, 0.2744, 0.6700).
It has space group P4/mbm (No. 127), with a = 6.780 Å, b = 6.780 Å, c = 6.279 Å, α = 90.00°, β = 90.00° and γ = 90.00°. The asymmetric unit holds Na at (0.000, 0.000, 0.000), Pm at (0.177, 0.323, 0.500), Sb at (0.000, 0.500, 0.000), O at (0.000, 0.000, 0.500) and O at (0.143, 0.643, 0.261).
It has space group P2/m (No. 10), with a = 5.980 Å, b = 3.512 Å, c = 6.068 Å, α = 90.00°, β = 109.49° and γ = 90.00°. The asymmetric unit holds Na at (0.000, 0.000, 0.000), Na at (0.000, 0.500, 0.500), Pm at (0.500, 0.000, 0.500), Sb at (0.500, 0.500, 0.000), O at (0.277, 0.000, 0.759) and O at (0.284, 0.500, 0.259).
It has space group R-3m (No. 166, hexagonal axes), with a = 7.0614 Å, b = 7.0614 Å, c = 16.9019 Å, α = 90.00°, β = 90.00° and γ = 120.00°. The asymmetric unit holds Na at (0.0000, 0.0000, 0.0000), Na at (0.0000, 0.5000, 0.0000), Pm at (0.0000, 0.5000, 0.5000), Sb at (0.0000, 0.0000, 0.5000), O at (0.0000, 0.0000, 0.2381) and O at (0.0016, 0.5008, 0.2394).
It has space group R3 (No. 146, hexagonal axes), with a = 5.8042 Å, b = 5.8042 Å, c = 14.8552 Å, α = 90.00°, β = 90.00° and γ = 120.00°. The asymmetric unit holds Na at (0.0000, 0.0000, 0.0000), Pm at (0.0000, 0.0000, 0.2712), Pm at (0.0000, 0.0000, 0.7742), Sb at (0.0000, 0.0000, 0.4866), O at (0.0140, 0.3927, 0.2217) and O at (0.0712, 0.6812, 0.0655).